Drums are a primary element of most electronic genres including dance music, hip hop, and Lo-Fi, and debatably the most important, only second to perhaps a lead vocal. Making a great drum beat involves a lot of things, from a good rhythm/groove to good sample selection, and these are things that you'll likely develop through practicing and making a lot of drum grooves, as well as remaking drums from your favorite songs. What I want to talk about today, however, are some techniques to process these drums. By that I mean sculpting your samples and groups using plug ins such as EQs, compressors, saturators, and more.
One important tool in your arsenal when it comes to crafting the perfect drum loop is EQ. This allows you to control the frequency spectrum of your drums and the overall tonal balance of the section. Some things to pay attention to here include the brightness of your high end (cymbals & percussion), unnecessary low end rumble on things like snare & percussion, annoying frequencies that may be distracting in kick or snare, low end power of the kick, how much high end click you want on your kick, & more. These things will all have a pretty big effect on the vibe of your drums, and will vary from song to song and even more so from genre to genre. Having good reference tracks is a very helpful practice here. Another thing to consider is that adjusting the volume of a track should be done first before diving into EQ to sculpt the frequency, it is easy to think something is too bright or not bright enough, for example, if the volume hasn't been properly dialed in yet. Over EQing to compensate for lack of volume adjustments can have negative impacts on the tonal balance of your drums, so be intentional about that.
Compressors are another key tool in drum processing. These can perform several utility functions, such as making the drums feel glued together, controlling dynamics, and transient design. Two ways to get a drum kit to have more glue using a compressor are: adding a compressor to the drum bus / group and reducing the threshold until gain reduction is happening and adjust to taste (usually best achieved with an attack setting of 30 ms so the transients can pop through), or secondly, using sidechain compression on the cymbal and percussion elements to duck when the kick and the snare happen, key settings to play with to achieve the groove you're after here are threshold and release. I usually will do both of these things with compressors on my drums.
Another thing that you can do with compressors is control the transients of your drums. Often times people want a strong transient on the kick and snare for electronic music, but it is also possible to have too much transient, which is becoming an easier mistake to make as drum sample libraries often come pre-processed with stronger transients. To increase the transient, you want to use a compressor on the track with an attack of 30 ms so the transient will cut through, and then bring down the threshold while turning up the makeup gain to make up the gain reduction. This will reduce the volume of the sustain and bring the attack up of the transient. If the transient is too much and you need to tame it, you can set the attack to a shorter setting so it will reduce the dynamics of the drum. A plug in I like to use that makes this really easy is called Transient Shaper by Kilohearts, but you can manually do it with pretty much any compressor.

Another tool we have to process drums with is saturation. This comes in many forms and plug ins, including saturators, distortion units, amplifiers, and pedals. Try anything you have access to! This can add more harmonics to your drums and make them feel thicker, just be wary of overdoing it, you can easily strip away the dynamics and transients this way. Putting this on the drum bus / group can also be another way of gluing the drums together! One plug in I can recommend that I use sometimes on drums is the Decapitator by Soundtoys, which can make things sound grittier and has a nice round texture. Another more subtle plug in I use quite often on drums is called True Iron by Kazrog, with this one I will typically try to make the difference just barely audible for just a little extra glue and thickness, a final touch on the end of the drum bus processing. If you don't have these plug ins, the Ableton stock saturator is a good one to play with as well!
Records of molecules, as found in the file:
-- begin --
{
  "formula": "C43H58BiBrF3N5O5S2Si",
  "method": "ωB97M-V/def2-TZVPD",
  "spin_multiplicity": 2,
  "homo_ev": [-5.26, -5.26],
  "orbital_gap_ev": [6.20, 4.63],
  "s_squared": 0.758,
  "total_energy_ev": -176798.07130,
  "total_charge": -1,
  "elements": ["Bi", "C", "O", "C", "C", "C", "C", "C", "C", "N", "C", "N", "C", "C", "C", "C", "C", "C", "O", "C", "N", "C", "C", "C", "C", "C", "C", "O", "C", "H", "H", "H", "H", "H", "H", "H", "H", "H", "H", "H", "H", "H", "H", "H", "H", "H", "H", "H", "H", "H", "H", "H", "S", "C", "C", "C", "C", "C", "Si", "Br", "C", "C", "C", "C", "C", "C", "C", "C", "H", "H", "H", "H", "H", "H", "H", "H", "H", "H", "H", "H", "H", "H", "H", "H", "H", "H", "H", "H", "H", "H", "H", "H", "H", "H", "H", "C", "C", "C", "C", "N", "C", "S", "N", "C", "H", "H", "H", "H", "H", "H", "H", "H", "F", "C", "F", "F", "C", "O", "O"],
-- stop --

The primary purpose of reverb is to make things feel like it is in a space, so especially when you just have a drum kit made of individual samples, it can really go a long way towards the illusion of the drums all being a part of a single drum kit. With drums, I like to usually set the predelay of the reverb long enough that it doesn't blur the transient, so somewhere around 30 ms (predelay is the time before the reverb begins). Also, usually I'll set a pretty short decay time so it doesn't make the drums too messy. If you're applying reverb to the drum bus, the thing that you can pay most attention to in order to hear what's going on is probably the snare. Once you've applied the reverb, if your reverb doesn't have a filter in it that cuts out the low end, you'll probably want to manually do that so that you're not making a mess with the subby thump from the kick. I also usually like to gradually filter out the harsh highs of the reverb (like 10k plus or so).
== Next to the text, the page also holds data records ==
'''
(1)
# C35H66N6O2P2PbSbSi3

A structure of composition C35H66N6O2P2PbSbSi3 (ωB97M-V/def2-TZVPD, OMol25).

The geometry in XYZ format:
```
116
C35H66N6O2P2PbSbSi3, DFT ωB97M-V/def2-TZVPD
Pb 1.278 -0.212 -0.212
C 4.241 0.836 -1.414
C 4.154 0.103 -2.767
C 3.594 -1.287 -2.751
C 4.413 -2.332 -3.191
C 3.924 -3.606 -3.319
C 2.566 -3.814 -3.016
C 1.806 -2.745 -2.559
N 2.295 -1.489 -2.379
N 3.032 1.611 -1.006
C 2.452 2.434 -2.072
C 1.071 2.961 -1.774
C 0.607 4.079 -2.456
C -0.659 4.594 -2.125
C -1.387 3.997 -1.107
C -0.853 2.855 -0.548
N 0.327 2.315 -0.877
C 3.325 2.517 0.159
C 3.499 1.812 1.464
C 4.754 1.683 2.078
C 4.834 0.886 3.228
C 3.683 0.312 3.758
C 2.502 0.541 3.100
N 2.385 1.258 1.973
H 5.110 1.521 -1.437
H 4.431 0.118 -0.612
H 5.161 -0.007 -3.162
H 3.582 0.664 -3.505
H 5.435 -2.081 -3.450
H 4.569 -4.424 -3.620
H 2.107 -4.777 -3.113
H 0.721 -2.883 -2.454
H 2.392 1.844 -2.968
H 3.075 3.325 -2.292
H 1.222 4.496 -3.263
H -1.026 5.477 -2.627
H -2.355 4.357 -0.737
H -1.408 2.290 0.227
H 2.478 3.189 0.260
H 4.231 3.101 -0.048
H 5.569 2.309 1.751
H 5.777 0.754 3.738
H 3.691 -0.196 4.706
H 1.583 0.082 3.506
C -2.621 -2.826 -2.377
P -1.628 -1.347 -2.863
C -2.783 -0.045 -2.221
C -2.008 -1.342 -4.680
C -1.546 -0.086 -5.423
P 0.173 0.515 -4.876
C 0.355 1.848 -6.156
C 1.224 -0.727 -5.772
H -3.672 -2.664 -2.582
H -2.489 -3.018 -1.297
H -2.279 -3.676 -2.943
H -3.768 -0.113 -2.602
H -2.355 0.908 -2.511
H -2.790 -0.108 -1.120
H -3.101 -1.428 -4.724
H -1.526 -2.203 -5.114
H -2.258 0.745 -5.249
H -1.495 -0.244 -6.507
H 0.038 1.494 -7.142
H 1.370 2.199 -6.208
H -0.247 2.708 -5.860
H 1.014 -0.813 -6.832
H 1.121 -1.685 -5.288
H 2.255 -0.412 -5.671
N 1.182 -3.005 1.016
N 2.467 -3.462 0.679
C 3.512 -2.511 0.804
O 4.674 -2.898 0.985
O 3.150 -1.219 0.581
H 1.105 -2.886 2.036
H 0.490 -3.735 0.786
H 2.747 -4.357 1.096
C -5.409 -0.152 3.212
Si -4.319 0.031 1.687
C -4.606 1.683 0.795
C -4.806 -1.463 0.593
Sb -1.731 -0.108 2.365
Si -1.415 2.022 3.926
C -3.048 2.423 4.845
C -0.991 3.566 2.893
C -0.084 1.728 5.211
Si -1.576 -2.277 3.868
C 0.048 -2.333 4.842
C -1.768 -3.916 2.904
C -2.974 -2.070 5.121
H -6.412 0.133 2.882
H -5.125 0.489 4.044
H -5.406 -1.203 3.553
H -5.678 1.780 0.562
H -4.064 1.789 -0.159
H -4.365 2.515 1.450
H -5.865 -1.375 0.432
H -4.595 -2.407 1.045
H -4.298 -1.513 -0.373
H -3.886 2.557 4.144
H -2.860 3.371 5.325
H -3.285 1.666 5.599
H -1.812 3.972 2.258
H -0.094 3.482 2.279
H -0.750 4.373 3.563
H 0.162 0.668 5.389
H -0.377 2.143 6.198
H 0.870 2.210 4.911
H 0.919 -2.160 4.202
H 0.189 -3.286 5.340
H 0.064 -1.549 5.633
H -1.182 -4.672 3.392
H -1.461 -3.867 1.857
H -2.825 -4.226 2.953
H -3.203 -1.018 5.259
H -2.610 -2.446 6.086
H -3.868 -2.630 4.861
```

Results
2S+1: 1
LUMO level: -1.84 eV
HOMO level: -9.57 eV
total charge: +1
gap between HOMO and LUMO: 7.7 eV

(2)
# C35H67BF9N2O17S

A cluster of 4 separate species, C35H67BF9N2O17S in total (ωB97M-V/def2-TZVPD, OMol25).

The geometry in XYZ format:
```
132
C35H67BF9N2O17S, DFT ωB97M-V/def2-TZVPD
'''

[Here the entry breaks off for data records]
********
No. 1
The following is a quantum chemistry calculation of a cluster of 8 separate species, C28H84N8O10 in total in a non-equilibrium geometry, from the OMol25 dataset.

Computed properties:
Total charge: +6
Kohn-Sham gap: 8.3544 eV
ΔE to the lowest compared entry with this formula, charge and spin: 51.1 kcal per mole
LUMO: -12.52 eV

Each line ends with the Mulliken charge.
Geometry (Å):
C -0.33 0.30 3.65  -1.387
C 1.08 0.80 3.83  0.052
C 2.19 -0.13 3.25  0.004
O 3.48 0.52 3.20  -0.384
C 4.52 -0.23 2.53  -0.541
N 1.29 2.22 3.20  -0.022
H 2.24 2.55 3.31  0.401
H 1.13 2.19 2.21  -0.191
H 0.60 2.86 3.57  0.438
H -0.35 -0.59 4.26  0.455
H -0.62 -0.01 2.65  0.096
H -1.09 0.99 4.02  0.547
H 1.26 1.05 4.88  0.476
H 1.81 -0.56 2.33  -0.088
H 2.12 -0.99 3.91  0.315
H 5.46 0.32 2.58  0.428
H 4.33 -0.36 1.46  0.032
H 4.67 -1.28 2.78  0.246
C 4.53 -6.81 3.51  -1.456
C 3.89 -5.38 3.26  -0.088
C 2.53 -5.18 2.61  -0.308
O 2.23 -3.85 2.72  -0.349
C 1.39 -3.33 1.67  0.002
N 3.90 -4.78 4.69  -0.201
H 3.20 -4.07 4.56  0.225
H 3.59 -5.43 5.40  0.388
H 4.75 -4.34 5.00  0.346
H 5.42 -6.79 4.13  0.462
H 4.84 -7.23 2.55  0.384
H 3.88 -7.51 4.04  0.422
H 4.58 -4.69 2.79  0.333
H 1.80 -5.84 3.09  0.197
H 2.51 -5.51 1.57  0.522
H 1.97 -3.25 0.76  0.421
H 0.85 -2.40 1.85  -0.244
H 0.49 -3.92 1.48  -0.061
C -0.21 -6.84 1.31  -1.310
C -1.57 -6.58 0.57  -0.026
C -2.01 -5.11 0.46  -0.612
O -1.20 -4.39 -0.51  -0.376
C -1.59 -3.09 -0.79  -0.779
N -1.40 -7.21 -0.85  -0.286
H -1.28 -8.21 -0.77  0.369
H -2.20 -7.03 -1.43  0.345
H -0.63 -6.74 -1.32  0.299
H 0.22 -7.85 1.27  0.431
H -0.33 -6.55 2.36  0.372
H 0.57 -6.25 0.85  0.283
H -2.43 -7.17 0.91  0.452
H -1.94 -4.63 1.44  0.296
H -2.99 -5.11 0.00  0.616
H -1.43 -2.38 0.02  0.307
H -2.66 -2.92 -0.86  0.418
H -1.27 -2.65 -1.73  0.152
C 0.67 5.29 -0.40  -0.724
C 0.28 5.82 -1.80  -0.140
C -0.20 4.81 -2.79  0.222
O -0.68 5.42 -3.98  -0.443
C 0.38 5.77 -4.89  -0.640
N -0.66 7.02 -1.63  -0.112
H -0.17 7.78 -1.19  0.397
H -0.79 7.50 -2.51  0.392
H -1.50 6.79 -1.12  0.260
H 1.00 6.00 0.36  0.547
H 1.57 4.69 -0.55  -0.155
H -0.12 4.74 0.11  0.041
H 1.13 6.35 -2.24  0.322
H -1.01 4.22 -2.34  0.032
H 0.55 4.02 -2.85  0.123
H 0.96 4.88 -5.12  0.264
H 1.05 6.53 -4.50  0.283
H 0.03 6.19 -5.83  0.329
C 3.69 0.08 -1.54  -1.299
C 3.46 1.57 -1.84  0.471
C 3.56 2.57 -0.72  0.024
O 4.78 2.44 0.03  -0.401
C 4.86 3.02 1.34  -0.589
N 4.52 2.04 -2.90  -0.135
H 4.40 1.67 -3.83  0.333
H 4.70 3.03 -2.97  0.312
H 5.33 1.45 -2.75  0.366
H 2.89 -0.27 -0.88  0.105
H 4.63 0.05 -0.98  0.460
H 3.66 -0.63 -2.37  0.436
H 2.55 1.65 -2.44  -0.203
H 2.68 2.52 -0.08  -0.182
H 3.49 3.63 -0.95  0.629
H 5.82 3.51 1.50  0.322
H 4.63 2.30 2.12  0.036
H 4.23 3.91 1.39  0.319
C -1.28 1.24 -3.51  -1.325
C -1.61 -0.26 -3.22  1.177
C -3.13 -0.44 -3.26  -0.542
O -3.57 -1.80 -3.12  -0.289
C -4.95 -1.93 -2.79  -0.775
N -1.01 -1.06 -4.43  0.021
H -0.04 -0.85 -4.63  0.340
H -1.00 -2.05 -4.21  0.370
H -1.62 -1.06 -5.23  0.418
H -1.73 1.63 -4.43  0.531
H -0.24 1.49 -3.68  0.297
********
Wrap Up
So that pretty much covers what you need to know to start making some fire drum loops! We talked about shaping the frequency with EQ, gluing the drums together with compression and shaping the transients, thickening the drums with saturation, and putting them in a space with reverb! I'd love to know if you guys are enjoying these blog posts so I know whether to keep publishing them, so please do me a favor and give this post a like and a comment down below to let me know if these are helpful or interesting to you, or if you have any other questions or ideas for future posts! As always, I encourage you to hear how I use these techniques by listening to my dance music over at Ryahu and my Lo-Fi music over at philip j loaf eye.
Until Next Time,